diff --git a/CHANGELOG.md b/CHANGELOG.md
index 6a48db1e..2a13eb5e 100644
--- a/CHANGELOG.md
+++ b/CHANGELOG.md
@@ -1,60 +1,28 @@
-**Table of Contents** *generated with [DocToc](https://github.com/thlorenz/doctoc)*
-- [5.0.0](#500)
-- [4.0.0](#400)
-- [3.3.2](#332)
-- [3.3.1 [BROKEN]](#331-broken)
-- [3.3.0](#330)
-- [3.2.3](#323)
-- [3.2.2](#322)
-- [3.2.1 [BROKEN]](#321-broken)
-- [3.2.0 [BROKEN]](#320-broken)
-- [3.1.0](#310)
-- [3.0.2](#302)
-- [3.0.1](#301)
-- [3.0.0](#300)
-- [2.3.1](#231)
-- [2.3.0](#230)
-- [2.2.0](#220)
-- [2.1.1](#211)
-- [2.1.0](#210)
-- [2.0.0](#200)
-- [1.1.5](#115)
-- [1.1.4](#114)
-- [1.1.3](#113)
-- [1.1.2](#112)
-- [1.1.1](#111)
-- [1.1.0](#110)
-- [1.0.1](#101)
-- [1.0.0](#100)
-## 5.0.0
+# [5.0.0](https://github.com/nfl/react-helmet/compare/4.0.0...v5.0.0) (2017-03-21)
+### Features
- New Simplified API (fully backward-compatible) - Helmet now takes plain HTML tags for the majority of the API with just a few remaining props for Helmet - retaining `titleTemplate`, `defaultTitle`, `onChangeClientState`, and one new - `encodeSpecialCharacters` - refer to README for details. Directly passing Helmet props will be deprecated in the future. [(#246)](https://github.com/nfl/react-helmet/pull/246)
- `requestIdleCallback` utilized to consolidate DOM changes and makes these non-blocking for things like animations. Fixes first client-side render not matching server-side render. Maintains one DOM change between route changes on the client-side as well. [(#248)](https://github.com/nfl/react-helmet/pull/248)
- On server-side, `Helmet.renderStatic()` aliased to `Helmet.rewind()` for more clarity. `rewind` will be deprecated in the future.
- Yarn support
-## 4.0.0
+# 4.0.0
+### Features
- Replacing PlainComponent with stateless functional component `NullComponent`, with a hard requirement to use React 15 or higher.
-## 3.3.2
+# 3.3.2
+### Bugfixes
- Removed stateless functional component `NullComponent` because of it's incompatibility with React 14 and reverted back to PlainComponent.
-## 3.3.1 [BROKEN]
+# 3.3.1 [BROKEN]
+### Bugfixes
- README updates - npm badge and helmet image
- Bump react-side-effect to 1.1.0
@@ -62,17 +30,17 @@ Bugfixes:
- Refactored code - cut lines of code and used `reduce` to simplify functions
- Replaced PlainComponent with NullComponent (now within Helmet.js)
-## 3.3.0
+# 3.3.0
+### Features
- `itemprop` available in meta tags
_The article is interrupted by crystal structures_
____________
Entry 1:
Diffraction record for SrTbO3. The XRD peak list is simulated, not measured: it uses a crystal structure in the Materials Project, relaxed with GGA-PBE and Cu Kα.
No peak broadening, texture or thermal motion is included.

Crystal structure
Unit cell a=6.227 b=8.598 c=6.048 alpha=90.00 beta=90.00 gamma=90.00
Fractional positions:
Sr (0.051, 0.250, 0.017)
Sr (0.449, 0.750, 0.517)
Sr (0.551, 0.250, 0.483)
Sr (0.949, 0.750, 0.983)
Tb (0.000, 0.000, 0.500)
Tb (0.000, 0.500, 0.500)
Tb (0.500, 0.000, 0.000)
Tb (0.500, 0.500, 0.000)
O (0.050, 0.750, 0.387)
O (0.205, 0.560, 0.797)
O (0.205, 0.940, 0.797)
O (0.295, 0.060, 0.297)
O (0.295, 0.440, 0.297)
O (0.450, 0.250, 0.887)
O (0.550, 0.750, 0.113)
O (0.705, 0.560, 0.703)
O (0.705, 0.940, 0.703)
O (0.795, 0.060, 0.203)
O (0.795, 0.440, 0.203)
O (0.950, 0.250, 0.613)

Largest 8 diffraction maxima, in order of falling intensity, 2θ from 10° to 90°:
29.25 deg, rel. 100; 52.22 deg, rel. 36; 41.63 deg, rel. 24; 28.67 deg, rel. 23; 29.54 deg, rel. 23; 51.15 deg, rel. 18; 20.47 deg, rel. 16; 60.65 deg, rel. 13

=====

Entry 2:
Diffraction record for Hg2P2O7. The XRD peak list is simulated, not measured: it uses a crystal structure in the Materials Project, relaxed with GGA-PBE and Cu Kα.
No peak broadening, texture or thermal motion is included.

Crystal structure
Unit cell a=6.828 b=7.029 c=7.213 alpha=77.65 beta=67.48 gamma=80.20
Fractional positions:
Hg (0.104, 0.173, 0.247)
Hg (0.303, 0.317, 0.623)
Hg (0.697, 0.683, 0.377)
Hg (0.896, 0.827, 0.753)
P (0.212, 0.660, 0.263)
P (0.359, 0.871, 0.832)
P (0.641, 0.129, 0.168)
P (0.788, 0.340, 0.737)
O (0.066, 0.831, 0.362)
O (0.080, 0.519, 0.236)
O (0.224, 0.767, 0.766)
O (0.262, 0.081, 0.880)
O (0.371, 0.559, 0.369)
O (0.378, 0.751, 0.044)
O (0.409, 0.129, 0.318)
O (0.591, 0.871, 0.682)
O (0.622, 0.249, 0.956)
O (0.629, 0.441, 0.631)
O (0.738, 0.919, 0.120)
O (0.776, 0.233, 0.234)
O (0.920, 0.481, 0.764)
O (0.934, 0.169, 0.638)

Largest 8 diffraction maxima, in order of falling intensity, 2θ from 10° to 90°:
27.43 deg, rel. 100; 20.14 deg, rel. 88; 26.74 deg, rel. 67; 31.42 deg, rel. 56; 27.15 deg, rel. 52; 26.07 deg, rel. 50; 25.67 deg, rel. 49; 28.14 deg, rel. 36

=====

Entry 3:
Diffraction record for TaZn2SbO6. The XRD peak list is simulated, not measured: it uses a crystal structure in the Materials Project, relaxed with GGA-PBE and Cu Kα.
No peak broadening, texture or thermal motion is included.

Crystal structure
Unit cell a=5.489 b=8.001 c=5.539 alpha=90.00 beta=92.49 gamma=90.00
Fractional positions:
Ta (0.000, 0.000, 0.000)
Ta (0.000, 0.500, 0.000)
Zn (0.022, 0.250, 0.514)
Zn (0.483, 0.750, 0.024)
Zn (0.517, 0.250, 0.976)
Zn (0.978, 0.750, 0.486)
Sb (0.500, 0.000, 0.500)
Sb (0.500, 0.500, 0.500)
O (0.089, 0.750, 0.124)
O (0.142, 0.570, 0.691)
O (0.142, 0.930, 0.691)
O (0.321, 0.071, 0.134)
O (0.321, 0.429, 0.134)
O (0.381, 0.250, 0.629)
O (0.619, 0.750, 0.371)
O (0.679, 0.571, 0.866)
O (0.679, 0.929, 0.866)
O (0.858, 0.070, 0.309)
____________
- New API - `titleAttributes` to add attributes to the title tag
- `class` support for html tag
-## 3.2.3
+# 3.2.3
+### Bugfixes
- applied previous fix (undefined value for primary attribute key) to base tag
- fix htmlAttributes fallback value when calling rewind() on blank Helmet
@@ -80,27 +48,27 @@ Bugfixes:
- babel configuration moved into .babelrc
- eslint configuration moved into .eslintrc
-## 3.2.2
+# 3.2.2
**What comes next are materials data, not part of the page**
# 1
Structure and simulated powder X-ray diffraction pattern of K2CuCl3F (a crystal structure in Alexandria, relaxed with PBE; Cu Kα X-rays).
Kinematic intensities with the Lorentz-polarization factor, no thermal factor.

Top 8 peaks for 5° ≤ 2θ ≤ 70°, by angle:
two_theta, I/Imax
11.23, 100
21.68, 37
27.90, 98
34.13, 56
36.18, 43
36.98, 61
42.60, 39
51.20, 30

Structural model:
```
data_K2CuCl3F
_chemical_formula_sum 'K2 Cu1 Cl3 F1'
_cell_length_a 8.515
_cell_length_b 8.515
_cell_length_c 8.515
_cell_angle_alpha 151.14
_cell_angle_beta 146.83
_cell_angle_gamma 44.54
_symmetry_space_group_name_H-M 'P 1'
_symmetry_Int_Tables_number 1
loop_
_symmetry_equiv_pos_as_xyz
'x,y,z'
loop_
_atom_site_label
_atom_site_fract_x
_atom_site_fract_y
_atom_site_fract_z
K1 0.141 0.141 0.000
K2 0.859 0.859 0.000
Cu1 0.500 0.500 0.000
Cl1 0.000 0.500 0.500
Cl2 0.346 0.346 0.000
Cl3 0.654 0.654 0.000
F1 0.500 0.000 0.500
```

=====

# 2
Structure and simulated powder X-ray diffraction pattern of K2CuCl2F2 (a crystal structure in Alexandria, relaxed with PBE; Cu Kα X-rays).
Kinematic intensities with the Lorentz-polarization factor, no thermal factor.

Top 8 peaks for 5° ≤ 2θ ≤ 70°, by angle:
two_theta, I/Imax
13.90, 84
18.99, 29
25.07, 54
27.50, 72
35.75, 100
45.68, 34
51.45, 31
56.76, 38

Structural model:
```
data_K2CuCl2F2
_chemical_formula_sum 'K2 Cu1 Cl2 F2'
_cell_length_a 7.296
_cell_length_b 7.296
_cell_length_c 7.296
_cell_angle_alpha 139.73
_cell_angle_beta 139.73
_cell_angle_gamma 58.27
_symmetry_space_group_name_H-M 'P 1'
_symmetry_Int_Tables_number 1
loop_
_symmetry_equiv_pos_as_xyz
'x,y,z'
loop_
_atom_site_label
_atom_site_fract_x
_atom_site_fract_y
_atom_site_fract_z
K1 0.152 0.152 0.000
K2 0.848 0.848 0.000
Cu1 0.500 0.500 0.000
Cl1 0.000 0.500 0.500
Cl2 0.500 0.000 0.500
F1 0.349 0.349 0.000
F2 0.651 0.651 0.000
```

=====

# 3
Structure and simulated powder X-ray diffraction pattern of PaCu2Cl2F6 (a crystal structure in Alexandria, relaxed with PBE; Cu Kα X-rays).
Kinematic intensities with the Lorentz-polarization factor, no thermal factor.

Top 8 peaks for 5° ≤ 2θ ≤ 70°, by angle:
two_theta, I/Imax
11.53, 16
21.04, 100
29.21, 27
30.62, 32
37.45, 16
42.83, 15
47.23, 23
49.13, 22

Structural model:
```
data_PaCu2Cl2F6
_chemical_formula_sum 'Pa1 Cu2 Cl2 F6'
_cell_length_a 5.839
_cell_length_b 5.839
_cell_length_c 7.677
_cell_angle_alpha 90.00
_cell_angle_beta 90.00
_cell_angle_gamma 120.00
_symmetry_space_group_name_H-M 'P 1'
_symmetry_Int_Tables_number 1
loop_
_symmetry_equiv_pos_as_xyz
'x,y,z'
loop_
_atom_site_label
_atom_site_fract_x
_atom_site_fract_y
_atom_site_fract_z
Pa1 0.000 0.000 0.000
Cu1 0.333 0.667 0.660
Cu2 0.667 0.333 0.340
Cl1 0.333 0.667 0.385
Cl2 0.667 0.333 0.615
F1 0.172 0.344 0.842
F2 0.172 0.828 0.842
F3 0.344 0.172 0.158
F4 0.656 0.828 0.842
F5 0.828 0.172 0.158
F6 0.828 0.656 0.158
```

=====

# 4
+### Bugfixes
- Removed breaking changes `jsnext:main` and `module` from package.json. `es` version required special babel configuration for end users and needs to be re-thought for major release.
- Reverted `canUseDOM` setter in `Helmet.js`, as this was a breaking change for some users.
- [fix] runtime error when providing undefined value for primary attribute key (applies to meta, link, script, noscript, style)
-## 3.2.1 [BROKEN]
+# 3.2.1 [BROKEN]
+### Bugfixes
- Removing "engines" field in package.json.
-## 3.2.0 [BROKEN]
+# 3.2.0 [BROKEN]
+### Features
- `